
InsecurePersonNo2 October 22, 2018 6:00 pm

I've re-read the whole story. And I just get that:

1) The main reason [uke] wanted to run away is because he's scared of the responsibilities that he'll be carrying as a parent
2) He might've or might've not still run away even if the other guy didn't help him
3) All the false information the other guy fed him just raised his fear.

To conclude, he doesn't want to be a parent.

He reminds me of those types of people that goes out, have ***, if gotten pregnant, run away aka leave child to the adoption service | church | similar location or take abortion pills. Tho his motherly (can't think of any other word) instincts makes him care for the child at least a bit. If said person did take care of their own child/children, tis possible that the child's life may lead to quite the dramatic turn of their lives. Like the sudden burden was too heavy for him after all, so he gave up, becoming a parent no one would want to become theirs.

_Between two parts of the text: crystal structures_
=====
[1]
The following is a simulated powder XRD pattern of CaB. It was derived from the GGA-PBE geometry in Alexandria, using Cu Kα (weighted mean of Kα1 and Kα2).
No peak broadening, texture or thermal motion is included.

Main lines, low angle first (2θ from 15° to 90°):
17.63°, d = 5.032 Å, intensity 21, hkl 2 0 0
25.03°, d = 3.558 Å, intensity 100, hkl 2 2 0
29.21°, d = 3.057 Å, intensity 51, hkl 1 0 1
34.32°, d = 2.613 Å, intensity 60, hkl 2 1 1
35.69°, d = 2.516 Å, intensity 82, hkl 4 0 0
38.84°, d = 2.319 Å, intensity 25, hkl 3 0 1
42.95°, d = 2.106 Å, intensity 45, hkl 3 2 1
46.76°, d = 1.943 Å, intensity 25, hkl 4 1 1
51.36°, d = 1.779 Å, intensity 25, hkl 4 4 0
53.76°, d = 1.705 Å, intensity 24, hkl 4 3 1
57.95°, d = 1.591 Å, intensity 19, hkl 6 2 0
69.48°, d = 1.353 Å, intensity 19, hkl 4 0 2

Structural model:
Cell lengths 10.064, 10.064, 3.209 Å; angles 90.00, 90.00, 90.00 degrees
Space group I4/mmm (No. 139)
Symmetry-distinct sites (fractional):
Ca: 0.000 0.247 0.000 [8 per cell]
B: 0.236 0.236 0.500 [8 per cell]



[2]
The following is a simulated powder XRD pattern of Sm3B7Rh. It was derived from the GGA-PBE geometry in Alexandria, using Cu Kα (weighted mean of Kα1 and Kα2).
No peak broadening, texture or thermal motion is included.

Main lines, low angle first (2θ from 15° to 90°):
25.61°, d = 3.478 Å, intensity 93, hkl 1 1 0
29.01°, d = 3.078 Å, intensity 86, hkl 0 4 2
30.21°, d = 2.958 Å, intensity 74, hkl 0 2 3
31.56°, d = 2.835 Å, intensity 33, hkl 1 3 1
33.37°, d = 2.685 Å, intensity 42, hkl 0 6 0
37.66°, d = 2.389 Å, intensity 49, hkl 1 5 0
38.35°, d = 2.347 Å, intensity 100, hkl 1 1 3
38.85°, d = 2.318 Å, intensity 55, hkl 1 5 1
42.30°, d = 2.137 Å, intensity 27, hkl 1 5 2
51.28°, d = 1.782 Å, intensity 36, hkl 2 0 0
55.63°, d = 1.652 Å, intensity 29, hkl 1 7 3
60.68°, d = 1.526 Å, intensity 40, hkl 0 10 2
=====

He still strikes me as that kind of guy that I would label as irresponsible tho hopefully he proves my wrong on chapter 40... And if people would ask, "So you agree to what the other guy did? Confining him, hiding him in a room away from everyone else?" No I do not agree. He should've let the Dojin was it? Stay in the hospital, let them (parents) talk it out, and reach the conclusion themselves. The way he meddles in Byuls family makes me think that if Byul grew up and found out, might give one slap or punch as a gift to his uncle. But then again, who knows.

Someone pasted materials data at this point:
No. 1
Structure and computed powder XRD pattern of KPaCrSe4 (a PBE-relaxed structure; Cu Kα).

Top 10 peaks for 10 to 90 degrees two-theta, in order of rising 2θ:
d [Å]	2theta	Rel. int.
6.548	13.5	100
4.156	21.4	17
3.748	23.7	39
3.259	27.4	36
3.075	29.0	68
2.659	33.7	56
2.394	37.6	18
2.313	38.9	35
2.011	45.1	50
1.872	48.6	16

Cell and atoms:
```
data_KPaCrSe4
_chemical_formula_sum 'K4 Pa4 Cr4 Se16'
_space_group_name_H-M_alt 'I m m a'
_space_group_IT_number 74
_space_group_name_Hall '-I 2b 2'
_cell_length_a 8.3123
_cell_length_b 9.1416
_cell_length_c 10.6294
_cell_angle_alpha 90.00
_cell_angle_beta 90.00
_cell_angle_gamma 90.00
loop_
_atom_site_label
_atom_site_fract_x
_atom_site_fract_y
_atom_site_fract_z
K1 0.0000 0.2500 0.1746
Pa1 0.0000 0.0000 0.5000
Cr1 0.2500 0.2500 0.7500
Se1 0.0000 0.0697 0.7560
Se2 0.2094 0.2500 0.4996
```



No. 2
Structure and computed powder XRD pattern of K3Cr11S18 (a PBE-relaxed structure; Cu Kα).

Top 10 peaks for 10 to 90 degrees two-theta, in order of rising 2θ:
d [Å]	2theta	Rel. int.
8.186	10.8	100
4.042	22.0	17
2.747	32.6	31
2.712	33.0	73
2.606	34.4	26
2.284	39.5	24
2.180	41.4	36
1.900	47.9	22
1.761	51.9	28
1.750	52.3	40

Cell and atoms:
```
data_K3Cr11S18
_chemical_formula_sum 'K6 Cr22 S36'
_space_group_name_H-M_alt 'C 1 2/m 1'
_space_group_IT_number 12
_cell_length_a 21.3324
_cell_length_b 3.5212
_cell_length_c 16.5447
_cell_angle_alpha 90.00
_cell_angle_beta 100.00
_cell_angle_gamma 90.00
loop_
_space_group_symop_operation_xyz
'x,y,z'
'-x,-y,-z'
'-x,y,-z'
'x,-y,z'
'x+1/2,y+1/2,z'
'-x+1/2,-y+1/2,-z'
'-x+1/2,y+1/2,-z'
'x+1/2,-y+1/2,z'
loop_
_atom_site_label
_atom_site_fract_x
_atom_site_fract_y
_atom_site_fract_z
K1 0.0000 0.0000 0.0000
K2 0.1951 0.5000 0.5941
Cr1 0.0000 0.5000 0.5000
Cr2 0.0301 0.0000 0.7536
Cr3 0.0917 0.0000 0.3706
Cr4 0.1527 0.5000 0.2227
Cr5 0.1662 0.5000 0.8204
Cr6 0.2051 0.0000 0.0693
S1 0.0052 0.5000 0.3537
S2 0.0611 0.5000 0.8482
S3 0.0779 0.0000 0.2229
S4 0.0783 0.0000 0.5095
S5 0.1329 0.5000 0.0742
S6 0.1349 0.0000 0.7277
S7 0.1674 0.5000 0.3742
S8 0.2073 0.0000 0.9243
S9 0.2274 0.0000 0.2156
```



No. 3
Structure and computed powder XRD pattern of KCr2S4 (a PBE-relaxed structure; Cu Kα).

Top 10 peaks for 10 to 90 degrees two-theta, in order of rising 2θ:
d [Å]	2theta	Rel. int.
6.148	14.4	63
4.099	21.7	28
3.015	29.6	19
2.775	32.3	100
2.478	36.3	87
1.929	47.1	72
1.796	50.9	60
1.454	64.0	14
1.378	68.0	16
1.314	71.8	18

Cell and atoms:
```
data_KCr2S4
_chemical_formula_sum 'K1 Cr2 S4'
_space_group_name_H-M_alt 'P -6 m 2'
_space_group_IT_number 187
_space_group_name_Hall 'P -6 2'
_cell_length_a 3.5911
_cell_length_b 3.5911
_cell_length_c 12.2962
_cell_angle_alpha 90.00
_cell_angle_beta 90.00
_cell_angle_gamma 120.00
loop_
_atom_site_label
_atom_site_fract_x
_atom_site_fract_y
_atom_site_fract_z
K1 0.0000 0.0000 0.0000
Cr1 0.3333 0.6667 0.2951
S1 0.0000 0.0000 0.3868
S2 0.6667 0.3333 0.1880
```



No. 4

I'm not hating on him, but I don't like him, even from the start of this series. I was raised by a single parent, found out my dad (Who I never met) made me some half-siblings that he soon decided to sell to other parents looking for children because he don't have money. Oh yeah, reason why mom didn't stay with him: She found out he was like this. Confirmed years later after I was born by hearing from one of their close friend that he committed the action stated above.

    InsecurePersonNo2 October 22, 2018 6:01 pm

    Note: I'm just very sensitive on mangas that touch parenting.

    Guacamole October 22, 2018 6:36 pm
    Note: I'm just very sensitive on mangas that touch parenting. InsecurePersonNo2

    I’m raised from a single family too. My dad got abusive and my mom left him. Having an abusive parent and seeing how they treated each other.. idk it made me feel like I don’t want to have a kid because of it. I can relate to hye sung in a way. His dad was abusive towards him so he has this irrational fear of being in the same situation because he is an omega. He doesn’t trust alphas because all the alphas that he knew were always using omegas and he didn’t want to be used. Hye sung might act all high and mighty but you can see how low he think his self worth is. especially now that he knows he’s an omega.

    Yes, he can be immature but that’s why he shouldn’t be a parent. He didn’t want to resent his own kid and become like his old man. I don’t blame him for not wanting to become a parent and that’s okay. People grow up at their own pace. I believe that it’s better to have one parent who loves u than two parents who resent each other and neglects you.

    Guacamole October 22, 2018 6:37 pm
    Note: I'm just very sensitive on mangas that touch parenting. InsecurePersonNo2

    I’m raised from a single family too. My dad got abusive and my mom left him. Having an abusive parent and seeing how they treated each other.. idk it made a me feel like I don’t want to have a kid because of it. I can relate to hye sung in a way. His dad was abusive towards him so he has this irrational fear of being in the same situation because he is an omega. He doesn’t trust alphas because all the alphas that he knew were always using omegas and he didn’t want to be used. Hye sung might act all high and mighty but you can see how low he think his self worth is. especially now that he knows he’s an omega.

    Yes, he can be immature but that’s why he shouldn’t be a parent. He didn’t want to resent his own kid and become like his old man. I don’t blame him for not wanting to become a parent and that’s okay. People grow up at their own pace. I believe that it’s better to have one parent who loves u than two parents who resent each other and neglects you.
